An unknown enemy

[January 16th, 4 PM (present)]

"we're being followed" Angel said as he sat down

"I know just leave them for now there's nothing we could do in a plane, especially one with over two hundred" Jean said as he stared out the window of the plane

"if we put on our uniforms we could take out everyone on this plane" Mych said as look at a mirror on the ceiling

"there's no reason for us to kill over 200 innocent civilians just to catch two stalkers and stop looking at them, your just making it seem like we know their there" Jean said as he called over a flight attendant

"we've went on plenty of missions taking out thousands of innocent civilians" Mych said right before the flight attendant came

"is there something wrong?" the flight attendant asked

"no but can you get us two cans of beer" Jean said 

"so what's wrong with it this" Mych continued after the flight attendant left

"we did it because it was for our job" Jean said

"so your saying it's okay to kill thousands of innocent people when we're on a mission" Mych said right before the flight attendant came back

"is there anything else you need" the flight attendant asked

"no and thank you" "...never kill without a reason, wasn't that one of the most important rules in the Zerum family" Jean said after the flight attendant left

"how the hell do you know about that" Mych said as he held a pencil up to his neck

"and never fight or kill anyone in your assigned unit or team since they are considered your brother and sisters, I'm pretty sure that's what it said" Jean said as he put his head back

"that didn't answer my question" Mych said as he lightly pressed the pencil on Jean's neck

"there's no point in worrying about it now but we'll definitely have to later, just wait we're about to land in a couple minutes" Jean said as he took the pencil away

[January 5th, 8 PM (past)]

Jean was just standing on small platform on a mountainside that had two sides to climb down both were easy as long as you were able to watch your step when going down and behind the platform was a long passage leading into the Seiken base

"why the hell would you just leave, you could've just killed him like the you did the others" Ezreal said floating in front of him

"Ryoa's completely set on claiming the bounty before anyone else and this is his first one after 20 years but he has to kill me before I let him die" Jean explained

"why are you so hell bent on promoting them?" Ezreal said

"can't you look through my memories go ahead and check there you'll find the answer" Jean said before he jumped off the platform

when he jumped off three of the men who gave Ryoa the envelope came out of the passage to check where he went

"he actually jumped" man1 said in surprise

"oh well, he's 100% going to die from the fall" man2 said

as Jean was falling he saw a small river and tried landing in it but he wasn't able to make it and crash into a tree and then landed in front of a bear

"I probably should've just used the stairs" Jean said before he noticed the bear

"HEY! WHAT THE FUCK ARE YOU DOING OVER THERE!" a hunter said as he aimed the rifle at the bear standing behind him

"... of course, I have to run into you again" Jean said as he rolled away from the bears attack

[January 16, 8 PM (present)]

"they aren't from the Seiken family" Jean said as  he cleaned blood off of his hands

"how do you know" Mych asked before he heard someone fall

• Calculated crystals, as found in the file:
Compound: K2H6PdAu
Source: the Alexandria database
Functional: PBE
Structure: optimized geometry

POSCAR file:
```
K2H6PdAu
1.0
5.220 0.000 0.000
0.000 5.220 0.000
2.610 2.610 4.559
H Au K Pd
6 1 2 1
direct
0.816 0.816 0.368 H
0.750 0.750 0.000 H
0.184 0.184 0.632 H
0.250 0.250 0.000 H
0.250 0.750 0.000 H
0.750 0.250 0.000 H
0.500 0.500 0.000 Au
0.250 0.750 0.500 K
0.750 0.250 0.500 K
0.000 0.000 0.000 Pd
```

Calculated values
calculated total energy = -3.2721 eV/atom
total moment = 0.00 μB/cell
crystal system = tetragonal

"I- I saw you do it I'll report this to the police" the man said as he tried crawling away

"oh it's just a hobo" Mych said as he picked up a sharp object

"remember your principles and don't always resort to killing" Jean said as he pulled him back

"stay away!... please don't kill me" the hobo said as he curled into a ball

"shh, shh, it's okay... we'll let you live and we won't hurt, so just take this and don't tell the cops" Jean said as he gave the hobo some money

"...huh, wha- what" the hobo said in a terrified tone as he hesitantly took the money

"is that a deal" Jean said as he held up his pinky finger

"uh huh, than let me also tell you something...tonight's gonna be one of the nights that you need to stay home" the hobo said as he gave Jean his pinky finger

"....right but don't forget this, if you break this promise... I swear to god I will hunt you down, now just walk away" Jean said as he walked back to the bodies

"you just made him more scared than he already is and how much money did you give him anyway?" Mych asked as he watched the hobo run away

"I don't know but never mind that throw the bodies down here" Jean said as he lifted a sewer cover

"alright let's go back to the hotel now" Mych said as he threw the bodies into the sewer

Azure was about fall asleep while taking a bath but she heard loud footsteps right outside the bathroom, the footsteps belonged to two men waiting on the otherside of the door with suppressed pistols

Records of crystals, as found in the file:
<<<
Here is Mn2VS4 after structural relaxation from Alexandria via LeMat-Bulk. Energies are from PBE.

Output
calculated volume = 133 Å³/cell
space-group type = R-3m, No. 166
formation energy from raw total energies = -0.535 eV/atom
total magnetization = 11.01 Bohr magnetons per cell
electronic total energy = -47.71 eV/cell
excess energy over the best structure of this formula in the dataset = 0.029 eV per atom

Lattice parameters (Å, degrees): 3.5354 3.5354 12.4170 81.82 81.82 60.00
Closest atoms and distances in Å follow each position.
Sites, in units of the cell vectors:
Mn  0.4219  0.4219  0.7344  3 S 2.33
Mn  0.5781  0.5781  0.2656  3 S 2.33
V  0.0000  0.0000  0.0000  6 S 2.49
S  0.1193  0.1193  0.6421  3 Mn 2.33
S  0.2946  0.2946  0.1161  3 V 2.49, 3 Mn 2.74
S  0.7054  0.7054  0.8839  3 V 2.49, 3 Mn 2.74
S  0.8807  0.8807  0.3579  3 Mn 2.33

---

Here is MnVS3 after structural relaxation from Alexandria via LeMat-Bulk. Energies are from PBE.

Output
calculated volume = 337 Å³/cell
space-group type = Pnma, No. 62
formation energy from raw total energies = -0.627 eV/atom
total magnetization = 24.02 Bohr magnetons per cell
electronic total energy = -135.23 eV/cell
excess energy over the best structure of this formula in the dataset = 0.135 eV per atom

Lattice parameters (Å, degrees): 6.2430 6.0671 8.9080 90.00 90.00 90.00
Closest atoms and distances in Å follow each position.
Sites, in units of the cell vectors:
Mn  0.3961  0.5326  0.7500  6 S 2.45-2.72
Mn  0.1039  0.0326  0.2500  6 S 2.45-2.72
Mn  0.6039  0.4674  0.2500  6 S 2.45-2.72
Mn  0.8961  0.9674  0.7500  6 S 2.45-2.72
V  0.0000  0.5000  0.0000  6 S 2.37-2.43
V  0.5000  0.0000  0.5000  6 S 2.37-2.43
V  0.5000  0.0000  0.0000  6 S 2.37-2.43
V  0.0000  0.5000  0.5000  6 S 2.37-2.43
S  0.8232  0.1745  0.0776  2 V 2.37-2.38, 1 Mn 2.48
S  0.6768  0.6745  0.5776  2 V 2.37-2.38, 1 Mn 2.48
S  0.6768  0.6745  0.9224  2 V 2.37-2.38, 1 Mn 2.48
S  0.1768  0.8255  0.5776  2 V 2.37-2.38, 1 Mn 2.48
S  0.1768  0.8255  0.9224  2 V 2.37-2.38, 1 Mn 2.48
S  0.3232  0.3255  0.4224  2 V 2.37-2.38, 1 Mn 2.48
S  0.3232  0.3255  0.0776  2 V 2.37-2.38, 1 Mn 2.48
S  0.8232  0.1745  0.4224  2 V 2.37-2.38, 1 Mn 2.48
S  0.5485  0.1542  0.7500  2 V 2.43, 2 Mn 2.45-2.49
S  0.9515  0.6542  0.2500  2 V 2.43, 2 Mn 2.45-2.49
S  0.4515  0.8458  0.2500  2 V 2.43, 2 Mn 2.45-2.49
S  0.0485  0.3458  0.7500  2 V 2.43, 2 Mn 2.45-2.49

---

Here is MnVS3 after structural relaxation from Alexandria via LeMat-Bulk. Energies are from PBE.

Output
calculated volume = 159 Å³/cell
space-group type = P2_1/m, No. 11
formation energy from raw total energies = -0.762 eV/atom
total magnetization = 5.83 Bohr magnetons per cell
electronic total energy = -68.96 eV/cell
excess energy over the best structure of this formula in the dataset = 0.000 eV per atom

Lattice parameters (Å, degrees): 3.2617 6.0642 8.2845 104.70 90.00 90.00
Closest atoms and distances in Å follow each position.
Sites, in units of the cell vectors:
>>>

the man on the left side used his finger to countdown from three and once he reached zero he kicked the door open and saw no one in there but the water was still running but he saw a shadow behind the door and shot close to the bottom of the door and waited a couple seconds until he seen the blood from who he ever thought was in there flow from behind the door then the man moved the door but was stabbed in the neck as soon as he saw Azure, the other man started shooting the door until he ran out of bullets and the door ended up as blood started to flow from the bathroom

"son of a bitch, I knew we should've taken more people" the man said as he opened the door and saw his friend standing with a knife in his neck and multiple bullet holes in his body

Azure let go of the body and after it dropped to the floor she shot the man in the head one time and shot him in the chest four times after his body fell

~~~
1.
A relaxed structure of CsHg2Bi. Source: Alexandria via LeMat-Bulk, functional PBE-GGA.

Computed properties:
* volume: 140 Å³ per cell
* uncorrected energy: -1.442 eV/atom
* formation enthalpy at 0 K: -0.108 eV/atom

Cell lengths 3.884, 3.884, 9.300 Å; angles 90.00, 90.00, 90.00 degrees
Space group P4/mmm (No. 123)
Symmetry-distinct sites (fractional):
Cs1 0.000 0.000 0.000 x1
Hg1 0.500 0.500 0.285 x2
Bi1 0.000 0.000 0.500 x1

***

2.
A relaxed structure of Cs2Hg2Bi. Source: Alexandria via LeMat-Bulk, functional PBE-GGA.

Computed properties:
* volume: 455 Å³ per cell
* uncorrected energy: -1.315 eV/atom
* energy relative to the lowest polymorph listed for this composition: 0.261 eV/atom
* formation enthalpy at 0 K: -0.076 eV/atom

Cell lengths 10.749, 10.749, 3.936 Å; angles 90.00, 90.00, 90.00 degrees
Space group P4/mbm (No. 127)
Symmetry-distinct sites (fractional):
Cs1 0.184 0.316 0.000 x4
Hg1 0.109 0.609 0.500 x4
Bi1 0.000 0.000 0.000 x2

***

3.
A relaxed structure of Cs2Hg6Bi3. Source: Alexandria via LeMat-Bulk, functional PBE-GGA.

Computed properties:
* volume: 855 Å³ per cell
* uncorrected energy: -1.575 eV/atom
* formation enthalpy at 0 K: -0.197 eV/atom

Cell lengths 6.139, 15.523, 8.974 Å; angles 90.00, 90.00, 90.00 degrees
Space group Amm2 (No. 38)
Symmetry-distinct sites (fractional):
Cs1 0.000 0.167 0.000 x4
Hg1 0.000 0.000 0.696 x2
Hg2 0.000 0.098 0.400 x4
Hg3 0.500 0.000 0.145 x2
Hg4 0.500 0.179 0.681 x4
Bi1 0.500 0.000 0.818 x2
Bi2 0.500 0.157 0.346 x4

***

4.
A relaxed structure of CsHg3Bi. Source: Alexandria via LeMat-Bulk, functional PBE-GGA.

Computed properties:
* volume: 716 Å³ per cell
* uncorrected energy: -1.333 eV/atom
* energy relative to the lowest polymorph listed for this composition: 0.000 eV/atom
* formation enthalpy at 0 K: -0.205 eV/atom

Cell lengths 7.872, 11.871, 7.667 Å; angles 90.00, 90.00, 90.00 degrees
Space group Cmcm (No. 63)
Symmetry-distinct sites (fractional):
Cs1 0.000 0.239 0.250 x4
Hg1 0.000 0.107 0.750 x4
Hg2 0.237 0.500 0.000 x8
Bi1 0.000 0.362 0.750 x4

***

5.
A relaxed structure of Cs3Hg4Bi2. Source: Alexandria via LeMat-Bulk, functional PBE-GGA.

Computed properties:
* volume: 810 Å³ per cell
* uncorrected energy: -1.559 eV/atom
* energy relative to the lowest polymorph listed for this composition: 0.006 eV/atom
* formation enthalpy at 0 K: -0.278 eV/atom

Cell lengths 5.3951, 5.3951, 32.1203 Å; angles 90.00, 90.00, 120.00 degrees
Space group P3m1 (No. 156)
Symmetry-distinct sites (fractional):
Cs1 0.0000 0.0000 0.0000 x1
Cs2 0.0000 0.0000 0.1645 x1
Cs3 0.0000 0.0000 0.3307 x1
Cs4 0.0000 0.0000 0.4955 x1
Cs5 0.0000 0.0000 0.6618 x1
Cs6 0.0000 0.0000 0.8339 x1
Hg1 0.3333 0.6667 0.0823 x1
Hg2 0.3333 0.6667 0.2476 x1
Hg3 0.3333 0.6667 0.4131 x1
Hg4 0.3333 0.6667 0.5783 x1
Hg5 0.3333 0.6667 0.9174 x1
Hg6 0.6667 0.3333 0.2475 x1
Hg7 0.6667 0.3333 0.5779 x1
Hg8 0.6667 0.3333 0.9177 x1
Bi1 0.3333 0.6667 0.7479 x1
Bi2 0.6667 0.3333 0.0826 x1
Bi3 0.6667 0.3333 0.4128 x1
~~~
_So much for the crystal structures_

"fucking hell... who the hell are they anyway" Azure said after she read the name on their uniform

Azure got four trash bags from a cabinet in the kitchen and stuff one trash inside of the other and put a body inside of it then she did the same with the other body and dumped them in the garbage disposal

"oh can used this for a minute" Azure asked the housekeeper

"I can clean it for you" the Housekeeper said

"no, I'm gonna give it back just wait here" Azure said as she took the mop and something called Cloriol

after she mopped the floor she drained the bloody water into the drain inside the bathroom and filled it up with water and Cloriol then she gave it back to the housekeeper

"did he really have to shoot the door" Azure said as she was looking at the holes before she heard the door unlock

"what a pain in the ass, he is" Jean said as he closed the door

"did something happen?" Azure asked as she pushed the door

"it's almost like he enjoys killing people without reason" Jean said before he felt his phone vibrate

"he's the only one who inherited the bloodlust and the only one whose gonna regret it the most out of the 3 of them" Azure said as she closed the curtains

"not even Koal loves killing as much as he do" Jean said as he took off his coat

"they're probably only going after us two not the team" Azure said as she opened a bottle of wine

"yeah I wouldn't surprised seeing how people we made mad over the past 50 years" Jean said

a couple hours had past and Jean got a message on his phone from someone called Des saying "Dear Jean and Azure hopefully your getting this in time but I've kicked Ray out of my family due to his bloodlust temper, he ended up killing for more of my children fortunately for him I've only kicked him out with all of his limbs attached and..." after he read the rest of it he went to sleep

Ezreal was inside Jean's mind watching his memories until she heard "4.10.25"

"what the hell is that" Ezreal said as she followed the voice

the voice was coming from a large black cube that had white outlining on it that was against the walls in Jean's mind

"how the hell do am I supposed to turn it off" Ezreal said as she walked around the cube

Ezreal created a large and thick platform above the cube and added a large spike to the bottom of it but as she made it fall it broke in half and suddenly someone was choking her

"I only came to check on the cube but your trying to destroy it" Regal said before his hand was cut off

"impressive I didn't even notice you" Regal said as Jean tried cutting his head off